Contents =
-- begin --
The following is a DFT calculation (ωB97M-V/def2-TZVPD) of a 10-piece molecular cluster, C36H92O30S8 overall.

XYZ file:
```
166
Properties=species:S:1:pos:R:3
O -4.451 -14.607 -1.390
S -3.942 -13.672 -2.455
O -4.891 -12.812 -3.100
O -2.678 -12.711 -1.993
C -2.533 -11.537 -2.735
C -3.099 -10.334 -2.038
C -2.989 -14.655 -3.683
H -2.942 -11.680 -3.736
H -1.471 -11.307 -2.813
H -3.179 -9.482 -2.714
H -2.443 -10.069 -1.209
H -4.084 -10.545 -1.622
H -2.414 -13.892 -4.208
H -3.615 -15.297 -4.304
H -2.278 -15.305 -3.174
O -1.810 2.999 1.011
S -0.874 1.877 0.731
O -0.864 0.734 1.685
O -0.963 1.391 -0.827
C -1.644 0.174 -1.033
C -0.672 -1.054 -0.932
C 0.837 2.557 0.513
H -2.114 0.168 -2.016
H -2.323 -0.067 -0.215
H 0.206 -0.796 -1.525
H -1.237 -1.942 -1.217
H -0.398 -1.104 0.122
H 0.740 3.105 -0.424
H 1.597 1.783 0.410
H 1.093 3.418 1.130
O 0.091 8.095 5.464
S -0.206 8.369 6.875
O 0.704 9.148 7.702
O -1.599 9.213 6.978
C -2.732 8.765 6.206
C -3.944 8.349 7.101
C -0.716 6.881 7.716
H -2.532 8.038 5.419
H -3.052 9.635 5.633
H -4.628 7.724 6.527
H -4.580 9.206 7.323
H -3.673 7.846 8.029
H -1.563 6.610 7.086
H -1.001 6.992 8.762
H 0.048 6.129 7.517
O 8.226 -0.368 -10.435
S 8.066 0.155 -9.085
O 8.289 1.556 -8.869
O 6.531 -0.302 -8.565
C 6.230 0.098 -7.176
C 4.655 -0.136 -6.932
C 9.185 -0.788 -7.873
H 6.432 1.142 -6.939
H 6.697 -0.543 -6.429
H 3.940 -0.001 -7.744
H 4.292 0.642 -6.260
H 4.452 -1.050 -6.375
H 9.750 -1.459 -8.519
H 8.623 -1.151 -7.011
H 9.734 0.051 -7.446
O 3.348 -5.417 7.397
S 2.666 -6.668 7.052
O 3.231 -7.650 6.149
O 2.252 -7.425 8.481
C 1.971 -8.864 8.384
C 2.886 -9.736 9.238
C 0.951 -6.318 6.314
H 1.911 -9.165 7.338
H 0.955 -9.022 8.747
H 2.488 -10.750 9.234
H 2.828 -9.359 10.260
H 3.919 -9.584 8.924
H 0.512 -5.407 6.721
H 0.297 -7.186 6.398
H 1.040 -6.247 5.229
O -7.001 2.149 8.654
S -8.215 1.974 7.898
O -9.010 0.744 7.941
O -9.260 3.230 8.398
C -10.611 3.290 8.015
C -10.930 4.758 7.811
C -7.936 2.543 6.103
H -11.214 2.865 8.817
H -10.791 2.625 7.170
H -10.542 5.327 6.966
H -10.652 5.384 8.659
H -12.010 4.901 7.787
H -7.523 3.540 5.955
H -8.878 2.485 5.559
H -7.321 1.724 5.729
O -5.922 13.457 -1.450
S -4.875 13.713 -2.464
O -4.700 14.951 -3.197
O -3.312 13.277 -1.969
C -3.169 12.544 -0.798
C -3.549 11.063 -1.041
C -5.027 12.432 -3.809
H -3.614 13.108 0.022
H -2.083 12.463 -0.756
H -2.979 10.373 -0.419
H -3.342 10.818 -2.082
H -4.622 10.983 -0.870
H -5.197 11.400 -3.501
H -4.141 12.361 -4.440
H -5.849 12.734 -4.458
O 8.809 2.793 6.309
S 8.057 2.766 5.097
O 6.726 3.387 5.146
O 8.919 3.615 3.895
C 10.188 4.106 4.148
C 11.323 3.058 4.153
C 7.944 1.123 4.313
H 10.122 4.732 5.038
H 10.358 4.835 3.356
H 11.257 2.486 5.078
H 12.263 3.599 4.045
H 11.162 2.281 3.406
H 6.886 0.901 4.180
H 8.440 0.472 5.033
H 8.659 1.062 3.493
C -5.823 4.472 -3.989
O -6.998 4.438 -4.715
C -7.106 3.278 -5.556
C -7.966 2.181 -4.909
O -7.501 1.580 -3.715
C -8.329 1.522 -2.572
C -8.491 2.794 -1.782
O -9.388 3.738 -2.408
C -9.130 4.944 -1.871
H -5.052 4.968 -4.579
H -5.457 3.480 -3.724
H -5.925 4.998 -3.040
H -6.070 3.031 -5.785
H -7.643 3.637 -6.434
H -8.025 1.353 -5.616
H -9.023 2.437 -4.837
H -8.022 0.658 -1.983
H -9.312 1.180 -2.895
H -7.430 2.975 -1.607
-- stop --

Brief =
It remains to print the lines earlier on from the one with "7.101" to the one with "5.633" without altering anything.

Solution =
C -3.944 8.349 7.101
C -0.716 6.881 7.716
H -2.532 8.038 5.419
H -3.052 9.635 5.633